America needs to get a handle on its food waste

Amanda Salazar, Editor-in-Chief

Most Americans overestimate the amount of food that they will eat, resulting in them over-buying and under-eating their groceries, and alongside unclear package labeling this results in people throwing out their unused food, contributing to the overall food waste of the country.

This was found in a study to be published in the journal Resources, Conservation & Recycling’s November 2019 edition, written by professors of Ohio State University.

The study, titled, “Food-related routines, product characteristics, and household food waste in the United States: A refrigerator-based pilot study,” looked at the amount of food people bought, their estimates for how much of it they will eat and then their reasons for not eating it.

To do this, the authors surveyed 307 people, following up with 169 of them a week later, and asked them about the contents of their fridges on the basis of four categories: meats, fruit, vegetables and dairy

After asking how much of each category they had in their refrigerators, the participants were then asked how much of each type of food they expected to consume.

According to an article from the Ohio State University’s news site, the Ohio State News, “Survey participants expected to eat 97 percent of the meat in their refrigerators but really finished only about half. They thought they’d eat 94 percent of their vegetables, but consumed just 44 percent. They projected they’d eat about 71 percent of the fruit and 84 percent of the dairy, but finished off just 40 percent and 42 percent, respectively.”

As these numbers show, the average person is eating a lot less of the food they buy than expected, which in and of itself is a problem, but another issue was found by the researchers when they looked at what happened to the uneaten food.

They found that many participants were throwing out food that was still good to eat because the packages’ labeling was ambiguous.

“No one knows what ‘use by’ and ‘best by’ labels mean and people think they are a safety indicator when they are generally a quality indicator,” the study’s senior author Brian Roe was quoted as saying in the Ohio State News article.

Because people are unsure of what the “best buy” and “sell by” dates exactly mean, they often decide to err on the side of caution and throw the food out instead of taking the chance of eating food that’s no longer safe to eat.

The study’s findings are just a part of the much larger issue of America’s food waste, which is estimated at 30-40 percent of the food supply, according to the United States Department of Agriculture.

“Food waste, which is the single largest component going into municipal landfills, quickly generates methane, helping to make landfills the third largest source of methane in the United States,” the department’s website states. Methane contributes to global warming and climate change.

However, there are some ways to try to reduce our food waste and Megan Davenport of the study said that the study can help find these solutions.

-- Misplaced crystal structures --
-- begin --
# PBE Sr2GeRhN, optimized geometry
data_Sr2GeRhN
_chemical_formula_sum 'Sr2 Ge1 Rh1 N1'
_cell_length_a 5.495
_cell_length_b 5.495
_cell_length_c 3.790
_cell_angle_alpha 90.00
_cell_angle_beta 90.00
_cell_angle_gamma 90.00
_symmetry_space_group_name_H-M 'P 4/m m m'
_symmetry_Int_Tables_number 123
_symmetry_space_group_name_Hall '-P 4 2'
loop_
_atom_site_label
_atom_site_type_symbol
_atom_site_fract_x
_atom_site_fract_y
_atom_site_fract_z
Sr1 Sr 0.000 0.500 0.000
Ge1 Ge 0.000 0.000 0.500
Rh1 Rh 0.500 0.500 0.500
N1 N 0.500 0.500 0.000
# * DOS(E_F): 3.64 states/eV per cell
# * formation energy (no corrections): -0.4629 eV/atom



# PBE CaBeRe2, optimized geometry
data_CaBeRe2
_chemical_formula_sum 'Ca2 Be2 Re4'
_cell_length_a 3.365
_cell_length_b 4.197
_cell_length_c 8.662
_cell_angle_alpha 90.00
_cell_angle_beta 90.00
_cell_angle_gamma 90.00
_symmetry_space_group_name_H-M 'C m m m'
_symmetry_Int_Tables_number 65
_symmetry_space_group_name_Hall '-C 2 2'
loop_
_atom_site_label
_atom_site_type_symbol
_atom_site_fract_x
_atom_site_fract_y
_atom_site_fract_z
Ca1 Ca 0.000 0.000 0.000
Be1 Be 0.000 0.000 0.500
Re1 Re 0.000 0.500 0.297
# * DOS(E_F): 5.60 states/eV per cell
# * E_form: 0.49 eV/atom



# PBE Sr5Pr3S8, optimized geometry
data_Sr5Pr3S8
_chemical_formula_sum 'Sr15 Pr9 S24'
_cell_length_a 8.3743
_cell_length_b 8.3743
_cell_length_c 20.7342
_cell_angle_alpha 90.00
_cell_angle_beta 90.00
_cell_angle_gamma 120.00
_symmetry_space_group_name_H-M 'R -3 m'
_symmetry_Int_Tables_number 166
_symmetry_space_group_name_Hall '-R 3 2"'
loop_
_atom_site_label
_atom_site_type_symbol
_atom_site_fract_x
_atom_site_fract_y
_atom_site_fract_z
Sr1 Sr 0.0000 0.0000 0.0000
Sr2 Sr 0.0000 0.0000 0.5000
Sr3 Sr 0.0000 0.5000 0.0000
Pr1 Pr 0.0000 0.5000 0.5000
S1 S 0.0000 0.0000 0.2475
S2 S 0.0045 0.5022 0.7522
# * DOS(E_F): 13.44 states/eV per cell
# * formation energy (no corrections): -2.0682 eV/atom



# PBE YCoRh2Cl, optimized geometry
data_YCoRh2Cl
_chemical_formula_sum 'Y1 Co1 Rh2 Cl1'
_cell_length_a 4.999
_cell_length_b 4.999
_cell_length_c 5.015
_cell_angle_alpha 90.00
_cell_angle_beta 90.00
_cell_angle_gamma 90.00
_symmetry_space_group_name_H-M 'P 4/m m m'
_symmetry_Int_Tables_number 123
_symmetry_space_group_name_Hall '-P 4 2'
loop_
_atom_site_label
_atom_site_type_symbol
_atom_site_fract_x
_atom_site_fract_y
_atom_site_fract_z
Y1 Y 0.000 0.000 0.000
Co1 Co 0.000 0.000 0.500
Rh1 Rh 0.000 0.500 0.000
Cl1 Cl 0.500 0.500 0.500
# * DOS(E_F): 12.69 states/eV per cell
# * formation energy (no corrections): 1.3906 eV/atom



# PBE Ba3In6GaSn2, optimized geometry
data_Ba3In6GaSn2
_chemical_formula_sum 'Ba3 In6 Ga1 Sn2'
_cell_length_a 7.0532
_cell_length_b 7.0532
_cell_length_c 9.5419
_cell_angle_alpha 90.00
_cell_angle_beta 90.00
_cell_angle_gamma 120.00
_symmetry_space_group_name_H-M 'P -3 m 1'
_symmetry_Int_Tables_number 164
_symmetry_space_group_name_Hall '-P 3 2"'
loop_
_atom_site_label
_atom_site_type_symbol
_atom_site_fract_x
_atom_site_fract_y
_atom_site_fract_z
-- stop --

“Our results suggest that strategies to reduce food waste in the U.S. should include limiting and standardizing the number of phrases used on date labels, and education campaigns to help consumers better understand the physical signs of food safety and quality,” Davenport said in the OSN article.

Additionally, there is currently a policy being reviewed by Congress that would specify what terms should be used on labels to indicate when food has gone bad.

Hopefully, these ideas will be able to curb the country’s amount of food waste at some point in the future.